Create Learning Team Building and Leadership Corporate team building  (39)

The article about Team Building from Morning Edition on NPR shared an image that mentioned marshmallows & knives.

The team building activity has several names:
  • Hard Edges Soft Middles
  • Simple to Complex
  • Marshmallow Knife Fight (Clark Dever gave me that name)
  • The Cutting Edge of Team Work (Sam Sikes, the originator of this activity)

It does not matter what you call it!

Team Building is not an activity. It is part of the corporate development & training. As long as you treat it as an ‘activity,’ it will be a silly game that you had us play.
Suppose you treat this as an opportunity to connect the content (whatever it is) to an actual behavior change & how we get work done. In that case, you will be seen as a person who adds great value to the organization and makes the training connect in the heads of the participants.

How is stacking knives on marshmallows corporate development & learning?

Crystal structures, kept here for reference.
____________
Computed X-ray powder pattern
Compound: BaO10
Radiation: λ = 1.5418 Å (Cu Kα)
Structure: a structure optimized by DFT (GGA-PBE)
Intensities are scaled so that the largest is 1000.

Most intense lines, 10° ≤ 2θ ≤ 80°, in order of rising 2θ:
2theta  Rel. int.
15.0  634
21.2  232
23.9  368
28.3  1000
30.2  292
35.1  192
35.7  314
38.9  318
48.6  261
51.5  169

Unit cell a=5.9253 b=5.9253 c=9.5567 alpha=90.00 beta=90.00 gamma=90.00
Sites, in units of the cell vectors:
Ba 0.0000 0.0000 0.2500
Ba 0.0000 0.0000 0.7500
O 0.1061 0.3573 0.0666
O 0.1061 0.3573 0.9334
O 0.1061 0.6427 0.4334
O 0.1061 0.6427 0.5666
O 0.3573 0.1061 0.4334
O 0.3573 0.1061 0.5666
O 0.3573 0.8939 0.0666
O 0.3573 0.8939 0.9334
O 0.5000 0.5000 0.1846
O 0.5000 0.5000 0.3154
O 0.5000 0.5000 0.6846
O 0.5000 0.5000 0.8154
O 0.6427 0.1061 0.0666
O 0.6427 0.1061 0.9334
O 0.6427 0.8939 0.4334
O 0.6427 0.8939 0.5666
O 0.8939 0.3573 0.4334
O 0.8939 0.3573 0.5666
O 0.8939 0.6427 0.0666
O 0.8939 0.6427 0.9334

Computed X-ray powder pattern
Compound: CdPS3
Radiation: λ = 1.5418 Å (Cu Kα)
Structure: a structure optimized by DFT (GGA-PBE)
Intensities are scaled so that the largest is 1000.

Most intense lines, 10° ≤ 2θ ≤ 80°, in order of rising 2θ:
2theta  Rel. int.
12.1  1000
28.6  375
29.4  80
32.7  428
32.9  280
35.1  81
40.5  109
43.9  128
50.2  224
51.8  95

Unit cell a=6.2995 b=6.2995 c=7.5930 alpha=97.72 beta=97.72 gamma=120.01
Sites, in units of the cell vectors:
Cd 0.1668 0.8332 0.0000
Cd 0.8332 0.1668 0.0000
P 0.4500 0.4500 0.8457
P 0.5500 0.5500 0.1543
S 0.1137 0.4245 0.7666
S 0.2643 0.2643 0.2329
S 0.4245 0.1137 0.7666
S 0.5755 0.8863 0.2334
S 0.7357 0.7357 0.7671
S 0.8863 0.5755 0.2334

Computed X-ray powder pattern
Compound: LaNb3O9
Radiation: λ = 1.5418 Å (Cu Kα)
Structure: a structure optimized by DFT (GGA-PBE)
Intensities are scaled so that the largest is 1000.

Most intense lines, 10° ≤ 2θ ≤ 80°, in order of rising 2θ:
2theta  Rel. int.
11.0  402
22.3  255
22.4  191
25.0  353
31.7  1000
31.8  524
45.1  197
45.6  412
56.3  210
56.6  393

Unit cell a=5.6213 b=8.8903 c=8.9647 alpha=66.61 beta=71.74 gamma=71.60
Sites, in units of the cell vectors:
La 0.0000 0.0000 0.0000
La 0.3343 0.3229 0.9998
Nb 0.0798 0.5809 0.2512
Nb 0.2531 0.7417 0.7496
Nb 0.4117 0.9034 0.2661
Nb 0.5916 0.0713 0.7420
Nb 0.7386 0.2533 0.2586
Nb 0.9190 0.4215 0.7342
O 0.0831 0.5694 0.7647
O 0.0873 0.0886 0.2235
O 0.1618 0.6629 0.9985
O 0.2322 0.2409 0.7753
O 0.2410 0.7607 0.2292
O 0.3255 0.8311 0.5015
O 0.3912 0.9171 0.7657
O 0.4100 0.4122 0.2321
O 0.4839 0.0152 0.9968
O 0.5655 0.5681 0.7694
O 0.5862 0.0885 0.2235
O 0.6576 0.1662 0.4992
O 0.7327 0.2424 0.7730
O 0.7581 0.7628 0.2297
O 0.8335 0.3159 0.0003
O 0.9125 0.9166 0.7690
O 0.9302 0.4123 0.2335
O 0.9933 0.4968 0.4962

Computed X-ray powder pattern
Compound: Sr4TlCu2BiO10
Radiation: λ = 1.5418 Å (Cu Kα)
Structure: a structure optimized by DFT (GGA-PBE)
Intensities are scaled so that the largest is 1000.
____________
The crystal structures stop here.

Below are examples of how the activity may be used. 

  • It is a hands-on way to talk about the growing complexity of a team & how each person will adjust & change based on their Complexity Information Processing CIP + ability to handle ambiguity + quick adaptation of skills & communication from a simple task to a more complex task.
  • Illustrating the successes & regresses that happen as a person is promoted through an organization. They start with skilled knowledge of a task that they master. Then if promoted to Supervisor, have to work & support others to complete tasks. Then if promoted to Management have to coordinate several people completing tasks that they may know of, but they need to integrate the work to ensure on-time, on-budget, and on-quality completion. Then if promoted to Director of a Department, have to coordinate multiple teams, each completing tasks that have to be coordinated for on-time, on-budget, and on-quality completion. Etc …

Sometimes I front-load the activity with content & have people try to apply the content within the activity. Sometimes, I facilitate the activity we process the learning as a group, and then I reference back to it as we cover content & direct application to the team’s work.

Team Building Activity Overview:

The activity builds upon itself.

  • Round 1: 1 person 3 knives – 3 Marshmallows
  • Round 2: 2 people 6 knives – 6 marshmallows
  • Round 3: 4 people 12 knives – 12 marshmallows
  • Round 4: depends upon how large they want to go.
How is this like work?

It’s a metaphor.

  • Working by yourself (round 1), the task is novel, and you are responsible for your work.
  • Working with a partner (round 2), the same skills you used in round 1 will work in round 2 AND now, how do you communicate with a partner and work to combine both the ideas & skills of a partner.
  • Working with a small team (round 3), now 4 people with experience and ideas have to determine how to complete a task with everyone who has skills from the earlier rounds. Communication becomes more challenging, and the challenge becomes more complex.
  • Now, working with a large team (round 4) is an organizational challenge. We are creating a shared language and having known Goals, Roles, Procedures & Interpersonal Behavior. More structure is required.
Do you see the connection?

Having people do something (not too scary or different) that appears to be novel or unique may be a good change to break their “stuckness in thinking” or the existing patterns of behavior the team exhibits. Once we can shift behavior patterns, people sometimes see better, novel, more innovative ways of doing their work.

Create Learning Team Building and Leadership Corporate team building  (41)
Round 1: 1 person 3 knives – 3 Marshmallows
Create Learning Team Building and Leadership Corporate team building  (44)
Round 2: 2 people 6 knives – 6 marshmallows
Create Learning Team Building and Leadership Corporate team building  (45)
Create Learning Team Building and Leadership Corporate team building  (57)
Round 3: 4 people 12 knives – 12 marshmallows
Create Learning Team Building and Leadership Corporate team building  (54)
Round 4: it depends upon how large they want to go.
Pictometry Team Building and Employee Engagement - Create-Learning Team Building and Leadership (78)


What do you think?

How is the explanation helpful? Could you see this being used for corporate learning & development within your company or team?